Diversity on boards has long been a hot topic. While it has always been a best practice to have a board of directors that is reflective of your constituency, too few have lived up to that best practice.
In the last decade or so, however, more and more nonprofits have been paying attention — from serious to lip service — to diversify their boards, in part because there has been increased pressure coming from external sources, primarily funders.
But, creating a strong, diverse board is more challenging than it might at first appear. Sometimes an organization’s failure to do so isn’t for lack of trying, but rather misguided efforts. Other times, there really hasn’t even been any trying. But when an organization tries and fails, it is due to several reasons.
- Too few boards have a solid, thoughtful on-boarding process, essential if an organization wants a strong, well-performing board, regardless of its diversity. Rather, most boards replace outgoing board members by asking those already on the board whom they know. Sadly, in this country, people’s networks still tend to look like and think as they do. If that is how a board “recruits” new board members, diversification will be a long time coming.
- Too few boards give careful, intentional thought to what diversity means for their board and how that diversity will be of benefit. If we don’t truly believe in something, if we don’t truly understand its benefits, we are far less likely to pursue that outcome with any degree of vigor.
- Too few boards think about the conditions necessary to be a welcoming culture to diversity.
To build a good, solid board that has the capacity to be a high performing board, the board — not the executive director — must begin by being strategic. The board, with input from the executive director, must identify what is needed on the board to help increase the chances that the board and organization will be successful in achieving its strategic priorities.
It must consider what is needed in terms of: demographics; skills and knowledge areas; those to whom they wish access, as the need arises, through board members; and what kinds of characteristics/personality traits will be necessary for the group and successful group dynamics.
Once all the needs are identified, a board must prioritize. By thinking of specifics — such as a younger female or someone from this region of our service area or someone who has access to a politician — board members will be forced to think beyond their smart phones and into particular places.
For example, every profession has at least one professional association, to which many in our local communities belong. Reaching out to the local chapter of a professional association with a request to find board members stretches a board well beyond its own spheres. Going to faith organizations in new communities to extend an invitation to consider board service reaches beyond current circles. With clear priorities identified for new board members, the process of finding new board members moves from “who do we know” to “where should we look.” That, in and of itself, may add diversity.
But achieving diversity is far more than adding those who look different from everyone else in the room.
Diversifying boards needs to be tied to something beyond the push to diversify. It must first and foremost come from a position of understanding what diversification will bring to the board and the organization. It must come from a place of knowing why this is important and not simply that it is important to do if we want to be funded. Diversification looks different to different organizations.
For some, it may be diversifying along race and age, or sex and communities or any number of axis. But it all must be led by what is it we need to achieve in order to be the best stewards and protectors of our mission. Thus, diversifying a board should very much be driven by an organization’s mission.
The text is interrupted by data records.
-- begin --
# K3TlBr6

An optimized crystal structure of K3TlBr6 (PBE, Alexandria via LeMat-Bulk).

Uncorrected formation energy (kJ/mol of formula units): -1200
Energy above the lowest structure with this stoichiometry (meV/atom): 0
Total DFT energy (no corrections) (eV/atom): -2.81

Unit cell a=7.8809 b=8.4384 c=11.2057 alpha=90.00 beta=88.12 gamma=90.00
Positions (direct):
Br (0.7132, 0.1771, 0.9443)
Br (0.6363, 0.4412, 0.2712)
Br (0.1363, 0.0588, 0.7712)
Br (0.3343, 0.7778, 0.4207)
Br (0.3637, 0.5588, 0.7288)
Br (0.6657, 0.2222, 0.5793)
Br (0.1657, 0.2778, 0.0793)
Br (0.8637, 0.9412, 0.2288)
Br (0.2132, 0.3229, 0.4443)
Br (0.2868, 0.8229, 0.0557)
Br (0.8343, 0.7222, 0.9207)
Br (0.7868, 0.6771, 0.5557)
K (0.0320, 0.5806, 0.2593)
K (0.5320, 0.9194, 0.7593)
K (0.0000, 0.0000, 0.5000)
K (0.9680, 0.4194, 0.7407)
K (0.5000, 0.5000, 0.0000)
K (0.4680, 0.0806, 0.2407)
Tl (0.5000, 0.5000, 0.5000)
Tl (0.0000, 0.0000, 0.0000)

***

# KTl3Br6

An optimized crystal structure of KTl3Br6 (PBE, Alexandria via LeMat-Bulk).

Uncorrected formation energy (kJ/mol of formula units): -853
Total DFT energy (no corrections) (eV/atom): -2.71

Unit cell a=7.7193 b=8.6377 c=11.2414 alpha=90.00 beta=93.68 gamma=90.00
Positions (direct):
Br (0.3675, 0.5714, 0.7692)
Br (0.8052, 0.6676, 0.9636)
Br (0.1580, 0.2692, 0.4159)
Br (0.6325, 0.4286, 0.2308)
Br (0.6948, 0.1676, 0.5364)
Br (0.1948, 0.3324, 0.0364)
Br (0.6580, 0.2308, 0.9159)
Br (0.3420, 0.7692, 0.0841)
Br (0.8675, 0.9286, 0.2692)
Br (0.8420, 0.7308, 0.5841)
Br (0.3052, 0.8324, 0.4636)
Br (0.1325, 0.0714, 0.7308)
K (0.5000, 0.5000, 0.5000)
K (0.0000, 0.0000, 0.0000)
Tl (0.9700, 0.4278, 0.7693)
Tl (0.5300, 0.9278, 0.7307)
Tl (0.5000, 0.5000, 0.0000)
Tl (0.0300, 0.5722, 0.2307)
Tl (0.0000, 0.0000, 0.5000)
Tl (0.4700, 0.0722, 0.2693)

***

# K5TlBr7

An optimized crystal structure of K5TlBr7 (PBE, Alexandria via LeMat-Bulk).

Uncorrected formation energy (kJ/mol of formula units): -1787
Total DFT energy (no corrections) (eV/atom): -2.93

Unit cell a=4.4663 b=8.2376 c=27.7286 alpha=90.04 beta=90.00 gamma=105.73
Positions (direct):
K (0.0003, 0.0005, 0.5004)
K (0.2798, 0.5595, 0.0712)
K (0.2794, 0.5587, 0.4289)
K (0.4611, 0.9223, 0.6475)
K (0.7211, 0.4422, 0.5718)
K (0.4608, 0.9215, 0.8524)
K (0.5398, 0.0797, 0.1470)
K (0.0004, 0.0008, 0.9995)
K (0.5392, 0.0785, 0.3530)
K (0.7209, 0.4418, 0.9282)
Br (0.8059, 0.6117, 0.6835)
Br (0.8055, 0.6110, 0.8166)
Br (0.1950, 0.3899, 0.1833)
Br (0.5916, 0.1833, 0.7499)
Br (0.1946, 0.3893, 0.3167)
Br (0.3631, 0.7261, 0.5408)
Br (0.6374, 0.2748, 0.4599)
Br (0.3630, 0.7260, 0.9592)
Br (0.6378, 0.2755, 0.0401)
Br (0.4089, 0.8178, 0.2500)
Br (0.9130, 0.8260, 0.3921)
Br (0.0873, 0.1746, 0.8913)
Br (0.0876, 0.1752, 0.6087)
Br (0.9136, 0.8273, 0.1078)
Tl (0.2231, 0.4462, 0.7499)
Tl (0.7772, 0.5545, 0.2502)

***

# K2TlBr

An optimized crystal structure of K2TlBr (PBE, Alexandria via LeMat-Bulk).

Uncorrected formation energy (kJ/mol of formula units): -233
-- stop --
While there is absolute important value in clients seeing themselves on the board of directors, it is equally important to understand what diversification will bring to the board table.
We think of diversity bringing a variety of perspectives to the table: those who are different, be it because they grew up in different neighborhoods, different financial situations or different generations, will bring different ways of thinking about a situation. The more ways we have to consider a situation, the thinking goes, the more thorough we will be in our decision making. (This, of course, assumes that people listen and hear what others are saying, even if it is foreign or different than their own thinking.)
But some of the diversity that would be of value to a board is difference that we cannot see, such as a person’s political views or the way s/he approaches a new situation or how s/he deals with disagreement.
To be a successful diverse board, boards must, before they go looking for that diversity, be clear as to the goals of the diversity they seek. If we simply want to look diverse, the on-boarding process may be more superficial: we bring in candidates, interview them, make sure we “like” them, and bring them onto the board.
If we want our board to be diverse at a functional level — by which we mean in how the members think, discuss and make decisions — then the on-boarding process will be more involved and would necessitate greater opportunities for interaction and observation before extending an offer. It might even include some of the personality and problem solving tests favored by HR departments of many for-profit companies. And/or, it could become a requirement that a potential board member serve a year on a board committee before being eligible even to be considered for board service.
(Requiring time on a committee as a pre-requisite for board nomination is always a good strategy for helping to bring on only the good-to-great board members.)
_Unrelated to this article: crystal structures_
/*
This record from Alexandria describes an optimized crystal structure of LiBe3Te. The functional is GGA-PBE.

For the volume, the calculation gives 14.46 Å³/atom. The calculation puts the energy relative to the lowest polymorph listed for this composition at 0.000 eV/f.u.

The structure belongs to space group Pm-3m (No. 221); the cell edges are 4.1663, 4.1663 and 4.1663 Å and the angles 90.00°, 90.00° and 90.00°. The inequivalent atoms are Li at (0.0000, 0.0000, 0.0000), Be at (0.0000, 0.0000, 0.5000) and Te at (0.5000, 0.5000, 0.5000).


This record from Alexandria describes an optimized crystal structure of Li2BeTe. The functional is GGA-PBE.

For the volume, the calculation gives 18.56 Å³/atom. The calculation puts the energy relative to the lowest polymorph listed for this composition at 0.376 eV/f.u.

The structure belongs to space group Imm2 (No. 44); the cell edges are 3.7771, 4.2088 and 9.3404 Å and the angles 90.00°, 90.00° and 90.00°. The inequivalent atoms are Li at (0.0000, 0.0000, 0.0000), Li at (0.0000, 0.5000, 0.2256), Be at (0.0000, 0.0000, 0.4605) and Te at (0.0000, 0.5000, 0.7880).


This record from Alexandria describes an optimized crystal structure of LiBeTe. The functional is GGA-PBE.

For the volume, the calculation gives 19.65 Å³/atom. The calculation puts the energy relative to the lowest polymorph listed for this composition at 0.578 eV/f.u.

The structure belongs to space group I4mm (No. 107); the cell edges are 3.6160, 3.6160 and 9.0163 Å and the angles 90.00°, 90.00° and 90.00°. The inequivalent atoms are Li at (0.0000, 0.0000, 0.0000), Be at (0.0000, 0.0000, 0.2799) and Te at (0.0000, 0.0000, 0.6979).

=====

Entry 1:
# PBE CsRbTl2Rh, optimized geometry
# Calculated density ... 6.5 g/cm³
# Energy relative to the lowest polymorph listed for this composition ... 0.0 meV per atom
# Formation energy ... 0.205 eV per formula unit
data_CsRbTl2Rh
_chemical_formula_sum 'Cs1 Rb1 Tl2 Rh1'
_space_group_name_H-M_alt 'P 4/m m m'
_space_group_IT_number 123
_space_group_name_Hall '-P 4 2'
_cell_length_a 5.425
_cell_length_b 5.425
_cell_length_c 6.346
_cell_angle_alpha 90.00
_cell_angle_beta 90.00
_cell_angle_gamma 90.00
loop_
_atom_site_label
_atom_site_fract_x
_atom_site_fract_y
_atom_site_fract_z
Cs1 0.000 0.000 0.000
Rb1 0.500 0.500 0.000
Tl1 0.000 0.500 0.500
Rh1 0.500 0.500 0.500

=====

Entry 2:
# PBE CsRbTl2Rh, optimized geometry
# Calculated density ... 6.4 g/cm³
# Energy relative to the lowest polymorph listed for this composition ... 34.8 meV per atom
# Formation energy ... 0.379 eV per formula unit
data_CsRbTl2Rh
_chemical_formula_sum 'Cs1 Rb1 Tl2 Rh1'
_space_group_name_H-M_alt 'P 4/m m m'
_space_group_IT_number 123
_space_group_name_Hall '-P 4 2'
_cell_length_a 5.439
_cell_length_b 5.439
_cell_length_c 6.396
_cell_angle_alpha 90.00
_cell_angle_beta 90.00
_cell_angle_gamma 90.00
loop_
_atom_site_label
_atom_site_fract_x
_atom_site_fract_y
_atom_site_fract_z
Cs1 0.000 0.000 0.000
Rb1 0.500 0.500 0.000
*/
Being clear as to why we want to be diverse should not only influence the on-boarding process, but also the degree of commitment to achieving the goal. When diversity is simply a public relations gesture as opposed to an understanding of the value of being a diverse group, neither board member selection nor achievement of the goal get the attention they need. Organizations that seek diversity simply to put a number larger than zero on a grant application, or to pat themselves on their backs that the board doesn’t all look alike, will fail to achieve true diversity, and the benefits thereof.
When boards have not reflected on the what and why of diversity, they also won’t be sure that they have a culture that is welcoming of diversity, even if they have to create it from scratch. A group that isn’t prepared to be diverse is a group that won’t even have a semblance of being diverse for very long.
First and foremost, to be successful as a diverse group, a board must be a group that is open to learning and change. By adding “different” you are almost guaranteed to have things questioned, the “way we have always done things” challenged, and alternatives viewpoints raised. If the knee jerk response is to quash these new ideas, dismiss them as “not how we do things,” diversity will quickly leave.
If, however, the group is a learning one, one that stops, listens, and considers and isn’t threatened by the possibility that there are alternative — and perhaps even better — ways to do things, the diversity will stay.
A culture that welcomes isn’t one that puts up a divide between the we who have been there and the you who are new; instead, it expands the we to include the you. Part of the way we do that is by never bringing on just one of whatever it is on which we seek to diversify.
One is a token, and a token is never a commitment to being a truly diverse group. One cannot and does not represent the whole, nor speak for the whole. One also increases the chances that the diversity will either a) never feel comfortable honestly speaking up or b) speak up, but very quickly shut down, if not in fact leave.
If true diversity is the goal, we must bring “newness” in groups, so that until the integrated we happens, the newness has a we of its own and its ideas and concerns are harder to dismiss.
We want to hear from you!
If you have a board diversity success story to share, we’d love to hear from you.
Laura Otten, a Dodge Technical Assistance faculty member, is Executive Director at The Nonprofit Center at LaSalle University.